
The state of oppression: Egypt authorities respond to doctors’ anger with crackdown

During the past week Egypt has witnessed widespread anger among doctors after the death of Waleed Yehya, a young gynecologist aged 31 years. Doctor Waleed died after days of suffering and searching for an ICU bed amid complete official negligence. Simultaneously, the minister of health intervened personally to provide a VIP unit for Ragaa al-Geddawy, an 81-year-old actress, despite the fact that she was stable, and is still stable until now.

The incident carried symbolic value that expresses the government’s neglect of the problems of doctors.

Doctors in Egypt have a list of long-lasting problems including low salaries, repeated assaults in hospitals, old equipment in public hospitals, dilapidated systems of training and postgraduate studies, and obsolete laws of occupational hazards and faults that could put doctors in prison.

With the outbreak of COVID-19 in Egypt, a new problem has been added; that is of the shortage of protection equipment and tests for health care providers. This shortage has already caused a high percentage of infections and deaths among health care providers. The COVID-19 death toll among doctors in Egypt has reached 19 doctors until now, representing three per cent of total deaths, compared to 0.5 per cent in Italy.

The secret word: Oppression

Instead of solving those problems, or even bargaining with the Egyptian Medical Syndicate, the official union of Egyptian doctors, the Egyptian authorities rapidly resorted to its preferable solution: oppression.

After the mass resignation of doctors at Moneira General Hospital, the hospital where Waleed was working, a general from the National Security, the secret police organ, met with doctors at the hospital. The general implicitly threatened the doctors to withdraw their resignation and warned them against announcing any complaint on social media, promising to provide them with the protection equipment they demanded. These threats or warnings were already circulated to all public hospitals either directly or through Whatsapp messages. However, the authorities weren’t content with that, as the Egyptian secret police launched a crackdown on every doctor or writer who blogs about the complaints of doctors. As in every crackdown by the Egyptian secret police, this campaign included even doctors who haven’t said anything.

=====
No. 1
Density functional theory data (PBE with a Hubbard U) for a geometry-optimized SrAcVO5 structure.

Calculated values
Space-group type ... No. 15
ρ ... 5.06 g/cm³
Uncorrected energy ... -7.44 eV per atom
N(E_F) ... 0.0000 states/eV per atom

a = 6.2358 Å, b = 6.2358 Å, c = 8.2757 Å
α = 100.59°, β = 100.59°, γ = 107.15°
Closest atoms and distances in Å follow each position.
Sites, in units of the cell vectors:
Sr  0.3411  0.6589  0.2500  1 O 2.32
Sr  0.6589  0.3411  0.7500  1 O 2.32
Ac  0.0000  0.0000  0.5000  4 O 2.34-2.57
Ac  0.0000  0.0000  0.0000  4 O 2.34-2.57
V  0.6797  0.3203  0.2500  4 O 1.75-1.76
V  0.3203  0.6797  0.7500  4 O 1.75-1.76
O  0.1099  0.8901  0.2500  1 Sr 2.32, 2 Ac 2.34
O  0.8901  0.1099  0.7500  1 Sr 2.32, 2 Ac 2.34
O  0.9195  0.3496  0.1619  1 V 1.76
O  0.0805  0.6504  0.8381  1 V 1.76
O  0.6504  0.0805  0.3381  1 V 1.76
O  0.3496  0.9195  0.6619  1 V 1.76
O  0.7142  0.5682  0.4049  1 V 1.75
O  0.2858  0.4318  0.5951  1 V 1.75
O  0.4318  0.2858  0.0951  1 V 1.75
O  0.5682  0.7142  0.9049  1 V 1.75

No. 2
Density functional theory data (PBE with a Hubbard U) for a geometry-optimized SrAc2VO6 structure.

Calculated values
Space-group type ... No. 99
ρ ... 6.55 g/cm³
Uncorrected energy ... -7.51 eV per atom
N(E_F) ... 0.0000 states/eV per atom

a = 5.3609 Å, b = 5.7054 Å, c = 5.7054 Å
α = 90.00°, β = 90.00°, γ = 90.00°
Closest atoms and distances in Å follow each position.
Sites, in units of the cell vectors:
Sr  0.5565  0.5000  0.5000  5 O 2.38-2.41
Ac  0.9943  0.5000  0.0000  4 O 2.47
Ac  0.9943  0.0000  0.5000  4 O 2.47
V  0.5979  0.0000  0.0000  5 O 1.78-1.95
O  0.7311  0.2245  0.2245  1 V 1.95
O  0.7311  0.2245  0.7755  1 V 1.95
O  0.1131  0.5000  0.5000  1 Sr 2.38
O  0.2663  0.0000  0.0000  1 V 1.78
O  0.7311  0.7755  0.7755  1 V 1.95
O  0.7311  0.7755  0.2245  1 V 1.95

No. 3
Density functional theory data (PBE with a Hubbard U) for a geometry-optimized Sr3AcV4O12 structure.

Calculated values
Space-group type ... No. 155
ρ ... 3.97 g/cm³
Uncorrected energy ... -7.18 eV per atom
N(E_F) ... 0.1212 states/eV per atom

a = 7.4766 Å, b = 7.4766 Å, c = 7.4766 Å
α = 104.38°, β = 104.38°, γ = 104.38°
Closest atoms and distances in Å follow each position.
Sites, in units of the cell vectors:
Sr  0.5420  0.4580  0.0000  6 O 2.48-2.56
Sr  0.4580  0.0000  0.5420  6 O 2.48-2.56
Sr  0.0000  0.5420  0.4580  6 O 2.48-2.56
Ac  0.0000  0.0000  0.0000  6 O 2.64
V  0.9563  0.0437  0.5000  3 O 1.71-1.78
V  0.0437  0.5000  0.9563  3 O 1.71-1.78
V  0.5000  0.9563  0.0437  3 O 1.71-1.78
V  0.5000  0.5000  0.5000  3 O 1.73
O  0.5000  0.3535  0.6465  1 V 1.73
O  0.8989  0.5000  0.1011  1 V 1.71
O  0.1011  0.8989  0.5000  1 V 1.71
O  0.5000  0.1011  0.8989  1 V 1.71
O  0.3383  0.9740  0.1817  1 V 1.78
O  0.1817  0.3383  0.9740  1 V 1.78
O  0.9740  0.1817  0.3383  1 V 1.78
O  0.6617  0.8183  0.0260  1 V 1.78
O  0.0260  0.6617  0.8183  1 V 1.78
O  0.8183  0.0260  0.6617  1 V 1.78
O  0.6465  0.5000  0.3535  1 V 1.73
=====

The current crackdown may be the widest since the one launched last September against the background of the uprising inspired by the dissident contractor Mohamed Ali. The September crackdown included the arrest and detention of more than 2,ooo people, including children, according to Human Rights Watch.

Preliminary shelling

Crackdowns against bloggers, lawyers, journalists and every group have become a periodic or seasonal practice used by the Egyptian authorities. Those crackdowns begin usually with a media bombardment against the targeted people or group accusing them of belonging to the Muslim Brotherhood. Media figures such as Ahmed Moussa, Nashaat al-Deehy and Amr Adeeb, and daily papers such as al-Dostor and al-Ahram are used as organs to attack dissidents or any person or group targeted by the authorities labelling them “terrorists” which has proved to be a mysterious word in Egypt.

Even Coptic Egyptians or prominent secular intellectuals or activists are now subject to such charges if they did something the authorities do not like. Recently, a Coptic journalist called Sameh Haneen was arrested and accused of belonging to a terrorist group for just producing documentaries for Al-Jazeera TV. Moreover, he was forced to record a video confessing such charges before the court decision in direct violation to all laws and customs. This mess extended to Dr. Mona Mena, the prominent union leader in the medical syndicate, who was accused of being a Muslim Brother despite the fact that she is Coptic. Furthermore, she was a vigorous opponent to the Muslim Brothers when they represented the majority in the elected medical syndicate council for more than 20 years. Dr. Mona also supported the oppressive measures against the Muslim Brothers after the July 3 military coup.

Furthermore, al-Dostor Egyptian daily accused the mother-in-law of Dr. Waleed Yehya of being a Muslim Brotherhood member for writing a comment complaining about the negligence her son-in-law suffered. Al-Ahram did the same but targeting Waleed himself by reviewing some of his old posts on Facebook where he complained about the hard life in Egypt.

Endless silence

The oppression in Egypt appears endless because no one inside Egypt can confront it, and no one in the world cares to end it. Inside Egypt, the authorities use direct harsh violence, outside the law, to crush dissidence or any voice inconsistent with its discourse. The judiciary turned out to be just an organ of the authorities. As for the syndicates, although semi-fair elections are still held, the syndicates’ councils work under the threat of dissolution and putting the syndicate under the administration of the government through a court decision. Moreover, the members of the syndicates’ councils are under the threat of arrest and detention if they cross the red lines put in place by authorities.

These policies themselves contribute towards deepening public administration dilemmas because it buries any susceptible reform. This makes the situation worse and doubles the motivations to carry out a popular revolt. Because of this, protesters accumulate, waiting for any chance to form a unitary insurgency against authorities. This scenario carries hopes and promises but also carries a lot of uncertainty and ambiguity.